Woke up to a cloudy tank??


New member
This morning I woke up and looked at my tank when the lights came on and for the second time in about 2 or 3 months that the aquarium looks cloudy in the morning. Both times I tested for all the usuals(nitrates,phos.,ph, cal., alk) All tests seem to come up normal. By normal I am mean Nitrates=0, Phos.=0,Ph=8.4, Cal.=450, Alk=9.
Other than the cloudiness(that only lasts an hour or so) nothing else seems to be affected. My SPS and fish all seem happy,polyps out, and fish are seem to be acting the same. Another thing is that skimmer seems to stop producing foam until it clears up;just as if I just fed.

I am completely lost as to what this might be.

Data records, kept here for reference:
<<<
Formula: C20H13Cl2N2O10Ru
Source: the OMol25 dataset
Level of theory: ωB97M-V/def2-TZVPD

XYZ file:
```
48
Properties=species:S:1:pos:R:3:forces:R:3:nbo_charge:R:1
Ru -0.2774 0.4123 0.2087 0.154 -1.383 0.700 1.3797
O -4.5235 1.3962 -1.0339 -0.064 0.115 -0.092 -0.6536
C -3.2225 1.3512 -0.7766 -0.073 -0.166 0.120 0.8049
O -2.7494 0.7129 0.1353 -0.017 0.156 -0.203 -0.5996
C -2.4214 2.1452 -1.7775 0.081 0.114 0.008 -0.1812
O -1.0664 2.2120 -1.4270 0.123 -0.102 -0.432 -0.5215
C -0.6771 3.3429 -0.6470 -0.042 -0.144 0.280 -0.1839
C -1.1335 3.1315 0.7979 0.146 -0.027 -0.149 0.7424
O -1.8831 3.9194 1.3299 0.085 -0.130 0.200 -0.5986
O -0.6388 2.0486 1.3532 0.304 -0.180 0.192 -0.7034
H -4.9956 0.8546 -0.3845 0.038 -0.053 0.062 0.5074
H -2.4922 1.6237 -2.7341 -0.030 0.008 -0.006 0.2415
H -2.8686 3.1365 -1.8831 -0.014 0.007 -0.018 0.2200
H 0.4128 3.3479 -0.6621 0.005 0.062 -0.154 0.2141
H -1.0725 4.2704 -1.0593 -0.070 -0.023 -0.008 0.1989
O 1.3584 0.2258 1.5233 -0.664 0.352 -0.197 -0.5467
C 2.5624 0.4563 1.3386 0.196 -0.045 0.021 0.4623
C 3.2500 0.5927 0.1084 0.020 0.171 0.033 -0.3554
C 4.6527 0.6558 0.1264 0.118 -0.026 0.159 -0.0768
C 5.3432 0.7165 -1.0456 -0.045 -0.006 -0.089 -0.0655
C 4.6669 0.7474 -2.2844 0.016 0.014 0.049 -0.1166
C 3.3056 0.7185 -2.3196 -0.002 -0.080 -0.108 -0.3078
C 2.5374 0.6373 -1.1205 -0.180 -0.005 0.015 0.5509
O 1.2671 0.6232 -1.1878 -0.428 0.373 -0.657 -0.6927
N 6.8038 0.7344 -1.0209 0.009 0.027 0.005 0.5367
O 7.3843 0.7711 -2.0894 -0.034 0.003 0.033 -0.3821
O 7.3559 0.7091 0.0637 -0.033 0.003 -0.037 -0.3888
H 3.1853 0.5439 2.2379 -0.090 -0.200 0.072 0.1601
H 5.1967 0.6357 1.0624 -0.026 -0.010 0.005 0.2473
H 5.2539 0.7966 -3.1904 -0.024 0.006 -0.013 0.2508
H 2.7582 0.7407 -3.2519 0.040 0.010 -0.013 0.2356
Cl -2.3837 -2.9522 -2.9588 -0.034 -0.030 0.038 0.0224
C -2.3940 -2.9636 -1.2290 -0.003 -0.049 -0.132 -0.1111
C -3.1089 -3.9654 -0.5466 -0.008 0.059 0.002 -0.2041
C -3.1650 -3.9846 0.8188 -0.015 -0.020 -0.086 -0.0814
Cl -4.0585 -5.2338 1.6312 0.006 0.052 -0.001 0.0046
C -2.4874 -2.9971 1.5706 0.027 -0.068 0.166 -0.0336
C -2.4926 -2.8736 2.9780 0.020 -0.005 -0.003 -0.1317
C -1.7706 -1.8784 3.5790 0.049 -0.095 -0.047 -0.2578
C -1.0269 -0.9871 2.7864 -0.044 -0.121 0.096 0.0959
N -1.0295 -1.0787 1.4770 -0.249 1.190 0.360 -0.3844
C -1.7495 -2.0431 0.8539 0.037 -0.106 0.207 0.1133
C -1.6927 -1.9833 -0.5530 -0.066 0.000 -0.389 0.3156
O -1.0191 -1.0152 -1.1142 0.820 0.272 0.046 -0.6768
H -3.6243 -4.7232 -1.1205 0.003 0.010 -0.004 0.2445
H -3.0758 -3.5699 3.5654 0.024 -0.007 0.011 0.2373
H -1.7642 -1.7657 4.6534 0.013 0.013 -0.006 0.2334
H -0.4298 -0.1953 3.2183 -0.079 0.063 -0.034 0.2354
```
Positions in Å, forces in eV/Å.

Summary:
Expectation value of S² ... 0.756
Net charge ... 0
HOMO-LUMO gap (spin up / spin down) ... 0.2648 / 0.2641 Eh
HOMO (spin up / spin down) ... -8.10 / -8.04 eV
Spin multiplicity ... 2
F_max ... 0.030 Eh/bohr

=====

Formula: C20H13Cl3F6N2O6S3Tc
Source: the OMol25 dataset
Level of theory: ωB97M-V/def2-TZVPD
>>>

Any opinions, similar experiences would be great,

your snails are spawning. What happens at night they admit "juice" and this mixes and in a little while you might notice little snails, provided they are not getting eaten. Do some searching on there because I remember seeing this awhile ago. You can also do this if you take a glass of cold water, warm in another. drop one snail into one and the other in another and mix the glasses.
Do you have caulerpa macro algae? If it goes "sexual" it can really cloud a tank for a few hours. IME, this usually happens just as lights are coming on in the morning.
In my fuge I have only chaeto. The light cycle is 24 hours on. so, dows that mean it is definitely the snails?
Nope, no clams. Here it is almost 12 hours later and it's like nothing ever happened. I'm just interested in what actually happened and why.
The same thing happened to me several times. One night we got home late all the tank lights were off and the tank looked like someone dumped a gallon of milk in it! I had two turbo snails and one was squirting what looked like smoke out of it. 12 hours later tank was crystal clear. two weeks later I had many small turbos. They did this many times with no tank problems.
I'm thinking that a bacteria bloom would not clear up by itself in twelve hours. Bacteria blooms sometimes occur in newer tanks or tanks where the bio load greatly outstrips the biofilters. That just doesn't sound like what's going on in your case. The snail spawn seems like the best guess so far.
First off, I really appreciate everyone's input.
Question: Let's say that the snails were spawning, do they form shells as well?? Or do they look around tryong to find another shell to live in?

How big is your tank? I had snails spawn in a 29 gallon and it wasnt enough to cloud the water. I dont see snails clouding a tank of any decent size. Do you have a sandbed? Do you have any gobys or other types of jawfish? Sounds to me like stirred up sandbed.
I have aboout 20 large zebra snails, along with 30 or so Cerith snails. I'm pretty sure its not the sandbed, considering I don't have any. It's not even anything in the water of any size at all. Meaning, there is no real size particle matter to the cloudiness, it just seems like what "sreefs" said, "like someone dumped some milk in tank"
